Stockholm (NordSIP) – Following last week’s DKK SSA rush, the attention of Nordic sustainable fixed income markets has turned to Swedish subnational borrowers. On January 25th, the Swedish Municipality of Helsingborg established a sustainability-linked bond framework while the Region of Stockholm announced the adoption of a new green bond framework on January 27th.
Helsingborg Unveils Sustainability-Linked Framework
By establishing a framework for sustainability-linked bonds, the City of Helsingborg creates a new form of debt instrument, the returns from which are linked to emission reductions targets within the geographical area of Helsingborg.
The city has a target of net-zero greenhouse gas emissions by 2035. The framework describes how much the emissions (in tons of CO2e) should be reduced yearly until 2035 in the geographical area of Helsingborg, based on the goals described in the City of Helsingborg’s climate and energy plan. If the emission reductions do not correspond to the target, the bond’s coupon can be increased or an additional payment can be made once the bond has reached maturity. Data from the national emissions database are used to track emissions.
“Issuing sustainable bonds to fund our work towards net zero greenhouse gas emissions and a sustainable society, is an important step for us. We welcome all investors who will join in the transformation towards sustainability,” says Marcus Nilsson, CFO in the city of Helsingborg.
The City of Helsingborg has developed the framework in collaboration with Danske Bank and in accordance with the International Capital Market Association’s (ICMA) Sustainability-Linked Bond Principles. S&P Global Ratings has given a Second Party Opinion on the framework. SEB Investment Management has purchased the first SEK500 million bond issued under the new framework, brokered by Danske Bank.
“To do this together with Helsingborg – the first municipality to create a sustainability-linked bond – is something we at SEB Investment Management are proud of. Municipalities have a key role in Sweden’s climate transition, and by linking financing to a clear emission target that is more ambitious than the national agreements, we can contribute to a faster climate transition,” says Martin Lundvall, Head of Core Fixed Income and Investment grade at SEB Investment Management.
The sustainability-linked bonds will finance the municipality’s and the municipal companies’ strategy toward increased quality of life, a healthier environment and a sustainable Helsingborg.
Calculated crystals, kept here for reference >
# 1
Dy2TmGe: relaxed, PBE.

Unit cell a=10.2195 b=10.2195 c=10.2195 alpha=20.43 beta=20.43 gamma=20.43
Positions (direct):
1 Dy 0.2353 0.2353 0.2353
2 Dy 0.7647 0.7647 0.7647
3 Tm 0.0000 0.0000 0.0000
4 Ge 0.5000 0.5000 0.5000

DOS(E_F): 6.42 states/eV per cell
crystal system: trigonal
formation enthalpy at 0 K: -0.205 eV per atom

# 2
Ba2ScSbPb: relaxed, PBE.

Unit cell a=6.5332 b=6.5332 c=5.9879 alpha=90.00 beta=90.00 gamma=90.00
Positions (direct):
1 Ba 0.0000 0.5000 0.0000
2 Ba 0.5000 0.0000 0.0000
3 Sc 0.0000 0.0000 0.5000
Here the text continues >
Stockholm Publishes New Green Bond Framework
Region Stockholm published a new framework for the issuance of green bonds. The framework is part of Region Stockholm’s goal to halve its climate impact by 2030 and reach net-zero emissions by 2045.
Misplaced materials data:
+++
# CaFeAu2 (PBEsol, relaxed)
# - total DFT energy (no corrections) (eV per atom) = -4.89
data_CaFeAu2
_space_group_name_H-M_alt 'P m m m'
_space_group_IT_number 47
_space_group_name_Hall '-P 2 2'
_cell_length_a 3.136
_cell_length_b 3.397
_cell_length_c 6.856
_cell_angle_alpha 90.00
_cell_angle_beta 90.00
_cell_angle_gamma 90.00
loop_
_atom_site_label
_atom_site_type_symbol
_atom_site_fract_x
_atom_site_fract_y
_atom_site_fract_z
Ca1 Ca 0.000 0.000 0.000
Fe1 Fe 0.000 0.000 0.500
Au1 Au 0.500 0.500 0.295



# Ca2FeAu (PBEsol, relaxed)
# - total DFT energy (no corrections) (eV per atom) = -4.20
data_Ca2FeAu
_space_group_name_H-M_alt 'I 4/m m m'
_space_group_IT_number 139
_space_group_name_Hall '-I 4 2'
_cell_length_a 4.881
_cell_length_b 4.881
_cell_length_c 7.323
_cell_angle_alpha 90.00
_cell_angle_beta 90.00
_cell_angle_gamma 90.00
loop_
_atom_site_label
_atom_site_type_symbol
_atom_site_fract_x
_atom_site_fract_y
_atom_site_fract_z
Ca1 Ca 0.000 0.500 0.250
Fe1 Fe 0.000 0.000 0.000
Au1 Au 0.000 0.000 0.500



# CaFeAu2 (PBEsol, relaxed)
# - total DFT energy (no corrections) (eV per atom) = -4.71
data_CaFeAu2
_space_group_name_H-M_alt 'F -4 3 m'
_space_group_IT_number 216
_space_group_name_Hall 'F -4 2 3'
_cell_length_a 6.584
_cell_length_b 6.584
_cell_length_c 6.584
_cell_angle_alpha 90.00
_cell_angle_beta 90.00
_cell_angle_gamma 90.00
loop_
_atom_site_label
_atom_site_type_symbol
_atom_site_fract_x
_atom_site_fract_y
_atom_site_fract_z
Ca1 Ca 0.000 0.000 0.000
Fe1 Fe 0.250 0.250 0.250
Au1 Au 0.000 0.000 0.500
Au2 Au 0.250 0.250 0.750



# Ca2Ga7Au (PBEsol, relaxed)
# - total DFT energy (no corrections) (eV per atom) = -3.64
data_Ca2Ga7Au
_space_group_name_H-M_alt 'P 4 m m'
_space_group_IT_number 99
_space_group_name_Hall 'P 4 -2'
_cell_length_a 4.177
_cell_length_b 4.177
_cell_length_c 11.121
+++
The 2022 Framework includes updates to Region Stockholm’s governance structure for green finance and lays out a commitment to carry out annual post-issue review of the allocation of proceeds, strengthening Region Stockholm’s accountability. The new framework also maps eligible project categories against the environmental objectives under the EU Taxonomy Regulation as well as the UN Sustainable Development Goals (SDGs).
Danske Bank has provided support with updating the framework. CICERO Shades of Green, graded Region Stockholm’s green framework the highest possible Dark Green and governance score of Excellent. The independent second opinion provider noted that “all the financed taxonomy activities in the project categories are likely aligned with the mitigation criteria in the EU taxonomy, except for existing buildings (acquisition and ownership), where it is currently not possible to conclude on alignment.” Danske
Green bond proceeds will be used in accordance with the project categories of the framework, Clean and Sustainable Transportation, Green and Energy Efficient Buildings and Renewable Energy. The framework also includes adaptation measures necessary to increase resilience across all sectors in all project categories.
## Ge2BiPt2 (PBEsol)

Data for a relaxed structure of Ge2BiPt2.

For the density of states at the Fermi level, the calculation gives 4.693 states/eV/cell. The total moment is 0.000 μB/atom. For the total DFT energy (no corrections), the calculation gives -58.6 eV per cell.

The structure belongs to space group I4/mmm (No. 139); the cell edges are 4.015, 4.015 and 11.750 Å and the angles 90.00°, 90.00° and 90.00°. Symmetry generates all atoms from Ge at (0.000, 0.500, 0.250), Bi at (0.000, 0.000, 0.000) and Pt at (0.000, 0.000, 0.382).



## ReGe2BiPt (PBEsol)

Data for a relaxed structure of ReGe2BiPt.

For the density of states at the Fermi level, the calculation gives 2.728 states/eV/cell. The total moment is 0.636 μB/atom. For the total DFT energy (no corrections), the calculation gives -29.6 eV per cell.

The structure belongs to space group P4/mmm (No. 123); the cell edges are 4.659, 4.659 and 5.272 Å and the angles 90.00°, 90.00° and 90.00°. Symmetry generates all atoms from Re at (0.000, 0.000, 0.000), Ge at (0.000, 0.500, 0.500), Bi at (0.500, 0.500, 0.000) and Pt at (0.000, 0.000, 0.500).



## SiGe2BiPt (PBEsol)

Data for a relaxed structure of SiGe2BiPt.

For the uncorrected formation energy, the calculation gives 0.519 eV per atom. For the density of states at the Fermi level, the calculation gives 2.799 states/eV/cell. The total moment is 0.000 μB/atom. For the total DFT energy (no corrections), the calculation gives -24.3 eV per cell.

The structure belongs to space group P4/mmm (No. 123); the cell edges are 4.656, 4.656 and 5.739 Å and the angles 90.00°, 90.00° and 90.00°. Symmetry generates all atoms from Si at (0.000, 0.000, 0.000), Ge at (0.000, 0.500, 0.500), Bi at (0.500, 0.500, 0.000) and Pt at (0.500, 0.500, 0.500).

~~~~~

# Cs2K9Na6

A geometry-optimized Cs2K9Na6 structure (PBE, Alexandria).

```
Cs2K9Na6
1.0
-6.9677 4.4113 2.6170
-0.6928 -8.3868 -2.0094
3.9517 -4.7763 18.5726
Cs K Na
2 9 6
Direct
0.0000 0.0000 0.6623
0.0000 0.0000 0.3377
0.5000 0.0000 0.8345
0.0000 0.5000 0.8345
0.5000 0.5000 0.8345
0.5000 0.0000 0.1655
0.0000 0.5000 0.1655
0.5000 0.5000 0.1655
0.5000 0.0000 0.5000
0.0000 0.5000 0.5000
0.5000 0.5000 0.5000
0.3333 0.6667 0.0000
0.6667 0.3333 0.0000
0.3333 0.6667 0.6681
0.6667 0.3333 0.6681
0.6667 0.3333 0.3319
0.3333 0.6667 0.3319
```

Computed properties:
Fermi-level density of states = 10.19 states/eV/cell
size of the total moment = 0.0 μB/f.u.
space-group type = P6/mmm, No. 191
formation energy = 8 kJ per mole of atoms



# CsK3Na3

A geometry-optimized CsK3Na3 structure (PBE, Alexandria).

```
CsK3Na3
1.0
-4.0475 8.4842 -3.5714
-6.9051 -2.0726 -7.0101
-9.2632 1.3060 3.6885
Cs K Na
2 6 6
Direct
0.4080 0.4080 0.4080
0.5920 0.5920 0.5920
0.8556 0.3031 0.1026
0.1026 0.8556 0.3031
0.3031 0.1026 0.8556
0.6969 0.8974 0.1444
0.8974 0.1444 0.6969
0.1444 0.6969 0.8974
0.4341 0.3120 0.0335
0.3120 0.0335 0.4341
0.0335 0.4341 0.3120
0.9665 0.5659 0.6880
0.6880 0.9665 0.5659
0.5659 0.6880 0.9665
```
According to Region Stockholm, the updated eligibility criteria under the framework follow the EU taxonomy; significantly contribute to ‘Climate Mitigation’ and ‘Climate Adaptation’ and acknowledge the related Do No Significant Harm criteria (“DNSH”) and Minimum Social Safeguards as outlined by the EU taxonomy.